(Excerpt)
/*
Below is a relaxed structure of Ba3TmIr2O9, with properties calculated at the PBE-GGA level.

Lattice parameters (Å, degrees): 5.867 5.867 7.192 90.00 90.00 120.00
Fractional positions:
O (0.825, 0.650, 0.678)
O (0.175, 0.350, 0.322)
O (0.825, 0.175, 0.678)
O (0.500, 0.500, 0.000)
O (0.350, 0.175, 0.678)
O (0.650, 0.825, 0.322)
O (0.175, 0.825, 0.322)
O (0.000, 0.500, 0.000)
O (0.500, 0.000, 0.000)
Ba (0.000, 0.000, 0.000)
Ba (0.333, 0.667, 0.671)
Ba (0.667, 0.333, 0.329)
Ir (0.667, 0.333, 0.840)
Ir (0.333, 0.667, 0.160)
Tm (0.000, 0.000, 0.500)

Results
Size of the total moment: 3.09 μB per formula unit
Formation energy without anion corrections: -2.0955 eV per atom
Theoretical density: 8.592 g cm⁻³
VASP energy: -6.9345 eV per atom

* * * * *

No. 1
The following is a PBE calculation of a geometry-optimized NaFeHOs2 structure, from Alexandria.

Cell: 4.603 4.603 4.241 Å, 90.00 90.00 90.00°
Positions (direct):
Na (0.000, 0.000, 0.000)
Fe (0.000, 0.000, 0.500)
H (0.500, 0.500, 0.500)
Os (0.000, 0.500, 0.000)
Os (0.500, 0.000, 0.000)

Results
The value obtained for the density of states at the Fermi level is 7.9 states/eV/f.u. The value obtained for the total magnetization is 0.744 μB/atom. The value obtained for the volume is 17.98 Å³/atom. As for the energy: -3.472 eV per atom.

---

No. 2
The following is a PBE calculation of a geometry-optimized NaPmFeH6 structure, from Alexandria.

Cell: 4.744 4.744 4.177 Å, 90.00 90.00 120.00°
Positions (direct):
Na (0.000, 0.000, 0.000)
Pm (0.667, 0.333, 0.507)
Fe (0.333, 0.667, 0.245)
H (0.004, 0.502, 0.025)
H (0.176, 0.351, 0.466)
H (0.176, 0.824, 0.466)
H (0.498, 0.502, 0.025)
H (0.498, 0.996, 0.025)
H (0.649, 0.824, 0.466)

Results
The value obtained for the total magnetization is 0.000 μB/atom. The value obtained for the volume is 9.05 Å³/atom. As for the energy: -4.192 eV per atom.

---

No. 3
The following is a PBE calculation of a geometry-optimized Na2PrFeH8 structure, from Alexandria.

Cell: 4.740 4.740 6.220 Å, 90.00 90.00 120.00°
Positions (direct):
Na (0.333, 0.667, 0.370)
Na (0.667, 0.333, 0.630)
Pr (0.000, 0.000, 0.000)
Fe (0.000, 0.000, 0.500)
H (0.151, 0.303, 0.659)
H (0.151, 0.849, 0.659)
H (0.303, 0.151, 0.341)
H (0.333, 0.667, 0.014)
H (0.667, 0.333, 0.986)
H (0.697, 0.849, 0.659)
H (0.849, 0.151, 0.341)
H (0.849, 0.697, 0.341)

Results
The value obtained for the density of states at the Fermi level is 7.6 states/eV/f.u. The value obtained for the total magnetization is 0.081 μB/atom. The value obtained for the volume is 10.09 Å³/atom. As for the energy: -3.754 eV per atom.

---

No. 4
The following is a PBE calculation of a geometry-optimized NaPrFeH6 structure, from Alexandria.

Cell: 4.789 4.789 4.234 Å, 90.00 90.00 120.00°
Positions (direct):
Na (0.000, 0.000, 0.000)
Pr (0.333, 0.667, 0.494)
Fe (0.667, 0.333, 0.768)
H (0.354, 0.177, 0.548)
H (0.504, 0.007, 0.985)
H (0.504, 0.496, 0.985)
H (0.823, 0.177, 0.548)
H (0.823, 0.646, 0.548)
H (0.993, 0.496, 0.985)

Results
The value obtained for the total magnetization is 0.000 μB/atom. The value obtained for the volume is 9.34 Å³/atom. As for the energy: -4.189 eV per atom.

---

No. 5
The following is a PBE calculation of a geometry-optimized Na2SrFeH8 structure, from Alexandria.

Cell: 4.841 4.841 6.624 Å, 90.00 90.00 120.00°
Positions (direct):
Na (0.333, 0.667, 0.357)
Na (0.667, 0.333, 0.643)
Sr (0.000, 0.000, 0.000)
Fe (0.000, 0.000, 0.500)
H (0.151, 0.302, 0.645)
H (0.151, 0.849, 0.645)
H (0.302, 0.151, 0.355)
H (0.333, 0.667, 0.020)
H (0.667, 0.333, 0.980)
H (0.698, 0.849, 0.645)
H (0.849, 0.151, 0.355)
H (0.849, 0.698, 0.355)

Results
The value obtained for the density of states at the Fermi level is 8.1 states/eV/f.u. The value obtained for the total magnetization is 0.158 μB/atom. The value obtained for the volume is 11.20 Å³/atom. As for the energy: -3.391 eV per atom.

---

No. 6
The following is a PBE calculation of a geometry-optimized NaZnFe2H structure, from Alexandria.
*/
(Work order)
Retype the data further above character by character, please.
(Solution)
Below is a relaxed structure of Ba3TmIr2O9, with properties calculated at the PBE-GGA level.

Lattice parameters (Å, degrees): 5.867 5.867 7.192 90.00 90.00 120.00
Fractional positions:
O (0.825, 0.650, 0.678)
O (0.175, 0.350, 0.322)
O (0.825, 0.175, 0.678)
O (0.500, 0.500, 0.000)
O (0.350, 0.175, 0.678)
O (0.650, 0.825, 0.322)
O (0.175, 0.825, 0.322)
O (0.000, 0.500, 0.000)
O (0.500, 0.000, 0.000)
Ba (0.000, 0.000, 0.000)
Ba (0.333, 0.667, 0.671)
Ba (0.667, 0.333, 0.329)
Ir (0.667, 0.333, 0.840)
Ir (0.333, 0.667, 0.160)
Tm (0.000, 0.000, 0.500)

Results
Size of the total moment: 3.09 μB per formula unit
Formation energy without anion corrections: -2.0955 eV per atom
Theoretical density: 8.592 g cm⁻³
VASP energy: -6.9345 eV per atom

* * * * *

No. 1
The following is a PBE calculation of a geometry-optimized NaFeHOs2 structure, from Alexandria.

Cell: 4.603 4.603 4.241 Å, 90.00 90.00 90.00°
Positions (direct):
Na (0.000, 0.000, 0.000)
Fe (0.000, 0.000, 0.500)
H (0.500, 0.500, 0.500)
Os (0.000, 0.500, 0.000)
Os (0.500, 0.000, 0.000)

Results
The value obtained for the density of states at the Fermi level is 7.9 states/eV/f.u. The value obtained for the total magnetization is 0.744 μB/atom. The value obtained for the volume is 17.98 Å³/atom. As for the energy: -3.472 eV per atom.

---

No. 2
The following is a PBE calculation of a geometry-optimized NaPmFeH6 structure, from Alexandria.

Cell: 4.744 4.744 4.177 Å, 90.00 90.00 120.00°
Positions (direct):
Na (0.000, 0.000, 0.000)
Pm (0.667, 0.333, 0.507)
Fe (0.333, 0.667, 0.245)
H (0.004, 0.502, 0.025)
H (0.176, 0.351, 0.466)
H (0.176, 0.824, 0.466)
H (0.498, 0.502, 0.025)
H (0.498, 0.996, 0.025)
H (0.649, 0.824, 0.466)

Results
The value obtained for the total magnetization is 0.000 μB/atom. The value obtained for the volume is 9.05 Å³/atom. As for the energy: -4.192 eV per atom.

---

No. 3
The following is a PBE calculation of a geometry-optimized Na2PrFeH8 structure, from Alexandria.

Cell: 4.740 4.740 6.220 Å, 90.00 90.00 120.00°
Positions (direct):
Na (0.333, 0.667, 0.370)
Na (0.667, 0.333, 0.630)
Pr (0.000, 0.000, 0.000)
Fe (0.000, 0.000, 0.500)
H (0.151, 0.303, 0.659)
H (0.151, 0.849, 0.659)
H (0.303, 0.151, 0.341)
H (0.333, 0.667, 0.014)
H (0.667, 0.333, 0.986)
H (0.697, 0.849, 0.659)
H (0.849, 0.151, 0.341)
H (0.849, 0.697, 0.341)

Results
The value obtained for the density of states at the Fermi level is 7.6 states/eV/f.u. The value obtained for the total magnetization is 0.081 μB/atom. The value obtained for the volume is 10.09 Å³/atom. As for the energy: -3.754 eV per atom.

---

No. 4
The following is a PBE calculation of a geometry-optimized NaPrFeH6 structure, from Alexandria.

Cell: 4.789 4.789 4.234 Å, 90.00 90.00 120.00°
Positions (direct):
Na (0.000, 0.000, 0.000)
Pr (0.333, 0.667, 0.494)
Fe (0.667, 0.333, 0.768)
H (0.354, 0.177, 0.548)
H (0.504, 0.007, 0.985)
H (0.504, 0.496, 0.985)
H (0.823, 0.177, 0.548)
H (0.823, 0.646, 0.548)
H (0.993, 0.496, 0.985)

Results
The value obtained for the total magnetization is 0.000 μB/atom. The value obtained for the volume is 9.34 Å³/atom. As for the energy: -4.189 eV per atom.

---

No. 5
The following is a PBE calculation of a geometry-optimized Na2SrFeH8 structure, from Alexandria.

Cell: 4.841 4.841 6.624 Å, 90.00 90.00 120.00°
Positions (direct):
Na (0.333, 0.667, 0.357)
Na (0.667, 0.333, 0.643)
Sr (0.000, 0.000, 0.000)
Fe (0.000, 0.000, 0.500)
H (0.151, 0.302, 0.645)
H (0.151, 0.849, 0.645)
H (0.302, 0.151, 0.355)
H (0.333, 0.667, 0.020)
H (0.667, 0.333, 0.980)
H (0.698, 0.849, 0.645)
H (0.849, 0.151, 0.355)
H (0.849, 0.698, 0.355)

Results
The value obtained for the density of states at the Fermi level is 8.1 states/eV/f.u. The value obtained for the total magnetization is 0.158 μB/atom. The value obtained for the volume is 11.20 Å³/atom. As for the energy: -3.391 eV per atom.

---

No. 6
The following is a PBE calculation of a geometry-optimized NaZnFe2H structure, from Alexandria.